Tuesday, July 26, 2022

Chief Judge of Western District of Texas does Chief Justice Roberts's bidding: patentees now have less than 10% chance of given case being assigned to Judge Albright

Judge Alan Albright managed to attract roughly a quarter of all U.S. patent infringement complaints to the Waco division of the United States District Court for the Western District of Texas. Without a doubt, plaintiffs went there for the combination of the following two factors:

  • Many large technology companies have operations in that district that weigh against a transfer to another venue under TC Heartland.

  • By filing a case with the Waco division, plaintiffs knew for certain that a case was going to be assigned Judge Albright, a former patent litigator--even though he sometimes held trials in nearby Austin.

"Judge-shopping" is what its critics called it. Its days were numbered when the Judicial Conference under Chief Justice John Roberts called for change. Yesterday, Chief U.S. District Judge Orlando Garcia entered a standing order that says this:

Upon consideration of the volume of new patent cases assigned to the Waco Division and in an effort to equitably distribute those cases, it is hereby ORDERED that, in accordance with 28 U.S.C. § 137, all civil cases involving patents [...], filed in the Waco Division on or after July 25, 2022, shall be randomly assigned to the following district judges of this Court until further order of the Court.

There are 12 judges on the list: the Chief District Judge himself, Judge Albright, and ten other judges.

The first question I asked myself when I saw that orders is: why only Waco? Wouldn't it be more principled to say that all patent cases filed in that district would be randomly assigned?

The problem of a disproportionate number of cases being assigned to a single judge was specific to only the Waco division. But if the cases filed in Waco are randomly distributed, and assuming that the number of cases filed with the other divisions combined is going to be small, yet greater than zero, it actually means that Judge Albright will get fewer patent cases assigned to him than his colleagues. That is discriminatory.

With a pool of twelve judges, it's practically impossible that patent holders will be equally pleased with the results they are going to achieve in that district as they have been in recent years. Maybe a couple of judges will have a similar mindset as Judge Albright, and will preside over patent cases with comparable verve, but not all eleven of them.

Wouldn't it have been sufficient to identify a pool of, say, three or four judges with a strong interest in patent law? In that case, there would be a greater degree of predictability.

## What comes next are crystal structures, not part of the piece
-- begin --
[1]
VASP calculation (PBE) on a relaxed CdHgBr2 crystal.

a b c (Å): 5.8983 5.8983 4.3351
angles (deg): 110.92 110.92 89.39
With the nearest neighbours (Å) after each atom.
Fractional coordinates of all 4 atoms:
Cd 0.0000 0.0000 0.0000  4 Br 2.97
Hg 0.5000 0.5000 0.0000  4 Br 2.97
Br 0.0000 0.5000 0.5000  2 Hg 2.97, 2 Cd 2.97
Br 0.5000 0.0000 0.5000  2 Hg 2.97, 2 Cd 2.97

Properties
space-group type = C2/m, No. 12
ΔE to the lowest computed polymorph = 395 meV per atom
V = 32.6 Å³/atom
Fermi-level density of states = 2.13 states/eV/f.u.
magnetization = 0.00 μB/cell
formation energy (no corrections) = -0.2238 eV per atom
energy = -1.36 eV/atom

---

[2]
VASP calculation (PBE) on a relaxed NaPr2H6Ru crystal.

a b c (Å): 4.8193 4.8193 7.0446
angles (deg): 90.00 90.00 120.00
With the nearest neighbours (Å) after each atom.
Fractional coordinates of all 10 atoms:
Na 0.0000 0.0000 0.0000  6 H 2.89
Pr 0.3333 0.6667 0.2991  6 H 2.45
Pr 0.6667 0.3333 0.7009  6 H 2.45
H 0.1696 0.3392 0.6416  1 Ru 1.73
H 0.1696 0.8304 0.6416  1 Ru 1.73
H 0.3392 0.1696 0.3584  1 Ru 1.73
H 0.6608 0.8304 0.6416  1 Ru 1.73
H 0.8304 0.1696 0.3584  1 Ru 1.73
H 0.8304 0.6608 0.3584  1 Ru 1.73
Ru 0.0000 0.0000 0.5000  6 H 1.73

Properties
space-group type = P-3m1, No. 164
V = 14.2 Å³/atom
Fermi-level density of states = 2.82 states/eV/f.u.
magnetization = 0.00 μB/cell
energy = -4.39 eV/atom

---

[3]
VASP calculation (PBE) on a relaxed Ti3CuPd12 crystal.

a b c (Å): 3.9300 3.9300 15.6390
angles (deg): 90.00 90.00 90.00
With the nearest neighbours (Å) after each atom.
Fractional coordinates of all 16 atoms:
Ti 0.0000 0.0000 0.0000  12 Pd 2.77-2.78
Ti 0.0000 0.0000 0.2569  12 Pd 2.68-2.86
Ti 0.0000 0.0000 0.7431  12 Pd 2.68-2.86
Cu 0.0000 0.0000 0.5000  12 Pd 2.78-2.79
Pd 0.0000 0.5000 0.1244  8 Pd 2.77-2.78, 4 Ti 2.77-2.86
Pd 0.0000 0.5000 0.3737  2 Ti 2.68, 8 Pd 2.76-2.79, 2 Cu 2.79
Pd 0.0000 0.5000 0.6263  2 Ti 2.68, 8 Pd 2.76-2.79, 2 Cu 2.79
Pd 0.0000 0.5000 0.8756  8 Pd 2.77-2.78, 4 Ti 2.77-2.86
Pd 0.5000 0.0000 0.1244  8 Pd 2.77-2.78, 4 Ti 2.77-2.86
Pd 0.5000 0.0000 0.3737  2 Ti 2.68, 8 Pd 2.76-2.79, 2 Cu 2.79
Pd 0.5000 0.0000 0.6263  2 Ti 2.68, 8 Pd 2.76-2.79, 2 Cu 2.79
Pd 0.5000 0.0000 0.8756  8 Pd 2.77-2.78, 4 Ti 2.77-2.86
Pd 0.5000 0.5000 0.0000  8 Pd 2.77, 4 Ti 2.78
Pd 0.5000 0.5000 0.2493  8 Pd 2.76-2.77, 4 Ti 2.78
Pd 0.5000 0.5000 0.5000  4 Cu 2.78, 8 Pd 2.79
Pd 0.5000 0.5000 0.7507  8 Pd 2.76-2.77, 4 Ti 2.78

Properties
space-group type = P4/mmm, No. 123
V = 15.1 Å³/atom
Fermi-level density of states = 11.24 states/eV/f.u.
magnetization = 0.00 μB/cell
formation enthalpy at 0 K = -0.510 eV per atom
energy = -6.14 eV/atom

---

[4]
VASP calculation (PBE) on a relaxed Mg2MnCo crystal.

a b c (Å): 3.0273 3.0273 7.1358
angles (deg): 90.00 90.00 90.00
With the nearest neighbours (Å) after each atom.
Fractional coordinates of all 4 atoms:
Mg 0.0000 0.0000 0.0000  4 Co 2.73, 1 Mn 2.83, 4 Mg 3.03
Mg 0.5000 0.5000 0.3367  4 Mn 2.87, 4 Mg 3.03, 1 Co 3.03
-- stop --

It is a key characteristic of the U.S. judiciary that all federal district judges are generalists. They may hear a criminal case one day and a patent case the next day. There are "hotspots" where each judge gets at least a few patent cases assigned per year, and Judge Rodney Gilstrap of the United States District Court of the Eastern District probably has a docket that overwhelmingly consists of patent cases. (And he's the Chief Judge there.)

The U.S. judiciary is an outlier on the global stage, where the other major jurisdictions do have specialized court divisions that focus on patent law. In Dusseldorf and Munich, there are three patent-specialized divisions each, and two in Mannheim. In Barcelona, there are three trade judges who hear patent cases. There are patent-specialized judges in the UK, the Netherlands, France, China, Japan, and some other places. At the European level, the Unified Patent Court (UPC) will go into operation next year.

Patent law is a complex field, it has some unique characteristics, and it helps when judges acquire a feel for technical issues. Those are only some of the strong arguments in favor of specialization. The USITC is a great example.

Some cases that would have been filed in the Western District of Texas before yesterday are now going to be brought in other U.S. districts, such as the Eastern District of Texas or the Eastern District of Virginia ("rocket docket"). But some patent holders may conclude that the best strategy is to seek injunctions in Europe (of course, provided that they hold European patents).